File:
-- begin --
A geometry-optimized CaTeOs2 structure. Source: Alexandria via LeMat-Bulk, functional GGA-PBEsol.

a b c (Å): 3.9826 3.9826 8.7638
angles (deg): 90.00 90.00 90.00
Space group I-4m2 (No. 119)
Unique sites:
Ca1 0.0000 0.0000 0.0000
Te1 0.0000 0.5000 0.7500
Os1 0.0000 0.0000 0.5000
Os2 0.0000 0.5000 0.2500

Results
volume: 139.0 Å³ per cell

---

A geometry-optimized CaTeOs2 structure. Source: Alexandria via LeMat-Bulk, functional GGA-PBEsol.

a b c (Å): 4.0047 4.0047 8.8960
angles (deg): 90.00 90.00 90.00
Space group I4/mmm (No. 139)
Unique sites:
Ca1 0.0000 0.0000 0.0000
Te1 0.0000 0.0000 0.5000
Os1 0.0000 0.5000 0.2500

Results
volume: 142.7 Å³ per cell

---

N(E_F), respectively: 8.248, 10.706 states/eV/cell.
Energy relative to the elements, uncorrected, respectively: 0.656, 0.703 eV/atom.
-- stop --

Wanted:
Your job: set down the listing further up verbatim.

Outcome:
A geometry-optimized CaTeOs2 structure. Source: Alexandria via LeMat-Bulk, functional GGA-PBEsol.

a b c (Å): 3.9826 3.9826 8.7638
angles (deg): 90.00 90.00 90.00
Space group I-4m2 (No. 119)
Unique sites:
Ca1 0.0000 0.0000 0.0000
Te1 0.0000 0.5000 0.7500
Os1 0.0000 0.0000 0.5000
Os2 0.0000 0.5000 0.2500

Results
volume: 139.0 Å³ per cell

---

A geometry-optimized CaTeOs2 structure. Source: Alexandria via LeMat-Bulk, functional GGA-PBEsol.

a b c (Å): 4.0047 4.0047 8.8960
angles (deg): 90.00 90.00 90.00
Space group I4/mmm (No. 139)
Unique sites:
Ca1 0.0000 0.0000 0.0000
Te1 0.0000 0.0000 0.5000
Os1 0.0000 0.5000 0.2500

Results
volume: 142.7 Å³ per cell

---

N(E_F), respectively: 8.248, 10.706 states/eV/cell.
Energy relative to the elements, uncorrected, respectively: 0.656, 0.703 eV/atom.